I’m Your Man

I recently saw the film I’m Your Man, an acknowledgement concert for Leonard Cohen with a lot of great singers singing some of his best songs interspersed with an interview with the man himself. A nice tribute that gave me a bit more of a sense of him as a human being and the full extent of his contribution. One of the best parts of the film was his sharing that, for him, there were few or no regrets and very little concern or self-congratulatory thinking about what he has accomplished.

Not everyone is a songwriter/ poet /legend, but everyone has a story and has touched many lives in powerful ways. I got to thinking that it would be wonderful if everyone had a movie or video like this made about their life sometime around their 70th birthday. It would be a great chance to see and hear all the things that people had to say about a person, as well as an opportunity to get closure if there was anything left over from the past.

Not that the ‘personal storytelling’ would be some sort of a vanity trip, but it could be a way of acknowledging and completing where we are, a way to create even more space for the future. At the very least, it could be a starting point for organizing our reflections and perhaps appreciating that, just as others have made a difference in our lives, so have we made a difference in theirs.

If you were to think about creating a record of your ‘story’, what would you want to include? Here are a few suggestions about things to think about, but I’m sure there are many more questions to consider. Feel free to add to this list by posting a comment.

•    When were you born and what were your parent’s dreams for you?
•    Where did you grow up and what was it like then and now?
•    What was your dream for your own future in high school?
•    What is your dream for your future today and for the rest of your life?

•    Who was your ‘first love’?
•    Who were your best friends? What do they have to say about you today?
•    How and where did you get the most important aspects of your education either formally or informally?
•    Do you have children? What do they have to say about you?
•    Did you marry? How many times? What were the highest and lowest points? What do they say about you today?
•    Who were the most important mentors or influencers in your life? What do they say about you today?

•    What was the ‘worst’ thing you did in high school?
•    What were the most ‘defining moments’ in your life?
•    Did you ever get into serious trouble? What happened?
•    What is a funny story about your experience of growing up?
•    What has made you angry?
•    Do you have any fears?
•    Is there anything that makes you sad?
•    What makes you happy?

**Calculated molecules from another source follow:**
<<<
[1]
55
Properties=species:S:1:pos:R:3:forces:R:3 method="wB97M-V/def2-TZVPD" total_charge=+3 fmax_ha_per_bohr=0.014 homo_ev="-16.24 / -16.24" lumo_energy_ev="-12.4522 / -12.4512"
Pd 0.1603 0.7975 -0.1199 -0.124 0.070 -0.486
C 5.4682 -1.1522 -1.0390 -0.001 -0.007 0.005
C 4.2278 -1.5723 -1.5655 -0.040 -0.041 0.010
C 3.1085 -0.8278 -1.3456 -0.052 -0.016 -0.051
C 3.2301 0.4433 -0.6874 -0.001 0.024 0.061
C 4.5051 0.8292 -0.1217 0.006 0.028 -0.029
C 5.5982 0.0320 -0.2999 0.010 -0.014 -0.006
N 2.1708 1.2509 -0.6328 0.029 0.011 -0.003
C 2.3612 2.6115 -0.6229 -0.014 0.017 -0.012
C 3.5059 3.2488 -1.1558 0.015 -0.042 0.029
C 3.6413 4.6199 -1.0405 -0.014 0.021 0.002
C 2.6354 5.3795 -0.4505 0.016 -0.003 -0.012
C 1.4424 4.7891 -0.0101 -0.005 -0.013 -0.007
C 1.3072 3.4310 -0.1327 -0.006 0.007 -0.020
N 0.1347 2.7124 0.1850 0.055 -0.043 0.339
N -0.8800 3.2813 0.6192 -0.006 0.014 -0.080
C -1.9446 2.4065 0.8220 0.017 -0.003 -0.004
C -3.1463 2.8850 1.2879 -0.001 -0.003 -0.005
C -4.1980 1.9783 1.4441 0.000 -0.006 -0.007
C -3.9913 0.6552 1.1177 -0.005 0.001 0.008
C -2.7404 0.2400 0.6511 0.003 0.013 0.043
N -1.7347 1.0899 0.5120 -0.004 0.026 0.035
H 6.3375 -1.7848 -1.1781 -0.001 0.000 -0.007
H 4.1693 -2.4862 -2.1413 -0.037 -0.033 -0.028
H 2.1584 -1.1051 -1.7825 0.061 0.007 0.019
H 4.5425 1.6789 0.5483 -0.009 0.011 -0.005
H 6.5445 0.2828 0.1598 0.000 0.000 0.000
H 4.2233 2.6793 -1.7313 0.009 -0.021 0.007
H 4.5137 5.1097 -1.4518 0.000 -0.002 -0.001
H 2.7467 6.4542 -0.3814 0.001 -0.001 0.003
H 0.6388 5.3897 0.3940 -0.001 -0.001 0.002
H -3.2496 3.9370 1.5156 0.003 0.000 0.002
H -5.1589 2.3164 1.8082 0.000 -0.001 0.000
H -4.7824 -0.0755 1.2123 0.001 0.000 0.000
H -2.5512 -0.7868 0.3828 0.014 -0.092 0.001
F -3.7544 -5.0883 1.3625 0.056 0.006 -0.032
C -2.8306 -5.3859 0.4796 -0.026 -0.101 0.062
C -2.0122 -4.4110 0.0429 0.063 0.087 -0.005
F -2.1603 -3.1684 0.5319 0.035 0.014 -0.034
C -0.9822 -4.6229 -0.9257 -0.021 0.019 0.010
C -0.8992 -5.9497 -1.4556 -0.088 0.010 0.020
C -1.7101 -6.9480 -1.0322 -0.021 0.090 0.016
F -1.5703 -8.1342 -1.5569 0.027 -0.045 -0.018
C -2.7081 -6.7515 0.0028 0.037 0.023 0.027
C -3.4318 -7.7824 0.5354 -0.055 -0.039 0.100
C -4.3447 -7.6077 1.6235 -0.050 0.067 -0.126
N -5.0947 -7.4851 2.4847 -0.005 -0.053 0.058
C -3.3308 -9.1332 0.0829 0.094 0.052 -0.130
N -3.2629 -10.2181 -0.2900 -0.057 -0.040 0.081
F 0.0045 -6.2044 -2.3831 0.038 -0.034 -0.043
C -0.1219 -3.6101 -1.3368 0.300 0.223 0.112
C -0.0857 -2.2974 -0.8145 -0.711 -0.040 -0.145
N -0.0226 -1.1812 -0.5339 0.337 -0.045 0.202
C 0.9304 -3.7663 -2.2953 -0.039 -0.456 0.071
N 1.8140 -3.8886 -3.0193 0.169 0.354 -0.027

***

[2]
73
Properties=species:S:1:pos:R:3:forces:R:3 method="wB97M-V/def2-TZVPD" multiplicity=2 fmax_ha_per_bohr=0.075 homo_ev="-8.19 / -8.96" lumo_energy_ev="-0.9991 / -0.9987" s_squared=0.7648
In -0.4012 0.6199 1.0605 0.399 0.792 -0.850
C 4.0369 0.5726 1.1429 -0.177 -0.171 -0.551
C 2.7981 1.1628 1.5617 2.192 -0.852 0.901
N 1.8422 0.8741 0.7072 0.276 -0.184 -0.493
>>>
**So much for the calculated molecules:**

Accomplishments & Self-Expression
•    How did you earn your living?
•    How did you express yourself?
•    What has been you greatest personal accomplishment?
•    What has been your greatest accomplishment involving other people?
•    What do you want to accomplish in your life before you die that you haven’t already accomplished?